to Woodward Public Schools
We are glad you are considering enrolling at Woodward Public Schools. We strive to be the best in Northwest Oklahoma. Online registration allows families who are new to Woodward the opportunity to register their children from the comfort of their own home. Please complete these forms online and bring your verification documents to the Woodward Enrollment Office, Woodward High School, 13th and Downs, to finalize your registration. Completing these forms online will expedite your wait time. If your child is currently a Woodward student you do not need to register. We will notify you when we do our Annual update through the parent portal.
All students new to Woodward and former students who have withdrawn from the district must complete enrollment. Students must be residents of Woodward District, living with a parent or legal guardian. Any student who has moved during the school year or summer must bring verification.
If you need assistance please contact the enrollment center by calling 580-256-6063 ext. 3458 or by email
Office Hours (Closed during school breaks: Thanksgiving, Christmas and Spring Break)
Monday – Thursday
8:30 a.m – 11:00 a.m
1:00 p.m – 3:00 p.m
8:30 a.m – 11:00 a.m
Items to Bring to Enrollment: These documents are REQUIRED
Birth Certificate: is required for all students (hospital certificates cannot be accepted). For pre-kindergarten, kindergarten and first grade, students must be 4, 5, or 6 years old on or before September 1. If you do not have your child’s birth certificate one can be ordered through Oklahoma Vital Records or US or Abroad Records.
Custody Documentation (if applicable) - Joint Custody Plan, DHS placement papers, or Court-Appointed Guardianship.
Proof of residence is required. Acceptable proof includes two of the following, one must be from the primary category and all the proof must be in the parents’ or legal guardians’ name.
Records of molecules from another source follow =
+++
No. 1
11
Properties=species:S:1:pos:R:3:forces:R:3:nbo_charge:R:1 method="wB97M-V/def2-TZVPD" charge=0 lumo_ev=-0.23 fmax_ev_per_a=3.654 orbital_gap_ev=10.7
C 0.36057 -0.15001 -0.09527 1.72 -2.75 -0.93 0.652
C -1.90625 0.44366 0.33580 -3.30 -1.48 0.53 -0.468
C 1.79524 -0.02270 -0.25501 2.39 1.36 0.46 0.478
N -0.54951 0.50354 0.15245 -0.89 0.83 -0.37 -0.297
F 0.27600 -2.12552 -0.57918 -0.01 2.98 0.78 -0.663
F 2.28921 1.20522 -0.61994 -1.46 0.23 -0.64 -0.325
F 2.45195 -0.22620 0.87610 -0.06 -0.94 1.85 -0.302
H -2.05331 1.01272 1.28785 -0.89 -0.42 -1.09 0.240
H -2.25695 -0.64945 0.40108 0.78 1.37 0.53 0.246
H -2.51249 0.72416 -0.57239 0.92 0.74 1.07 0.253
H 2.10554 -0.71544 -0.93149 0.81 -1.93 -2.19 0.186



No. 2
13
Properties=species:S:1:pos:R:3:forces:R:3:nbo_charge:R:1 method="wB97M-V/def2-TZVPD" charge=0 lumo_ev=0.06 smiles="COC=C=O.FP(F)F" fmax_ev_per_a=6.260 orbital_gap_ev=8.9
C 0.32346 1.02346 1.13032 -1.40 0.36 -1.87 -0.203
C 0.42845 0.75011 2.40729 0.25 0.37 0.14 0.611
C 1.13704 -1.07467 0.11521 -5.47 -0.33 -3.02 -0.259
O 0.64616 0.71679 3.54762 -0.03 -0.31 0.31 -0.426
O 0.54378 0.23609 0.01781 1.35 -0.33 0.56 -0.546
F -0.73486 -0.82057 -2.37035 0.62 0.68 0.08 -0.588
F -2.12507 0.01995 -0.75502 0.17 0.81 -0.25 -0.585
F -2.24659 0.82478 -3.04985 0.73 0.14 1.09 -0.594
P -1.14317 0.64368 -1.85748 -1.74 -1.47 -1.07 1.759
H -0.36187 1.80064 0.73482 0.60 -0.01 1.29 0.239
H 2.01390 -1.15240 0.62083 2.34 -0.05 1.93 0.185
H 1.30640 -1.22092 -0.98293 0.12 -0.66 1.13 0.213
H 0.21238 -1.74694 0.44174 2.46 0.80 -0.31 0.193



No. 3
9
Properties=species:S:1:pos:R:3:forces:R:3:nbo_charge:R:1 method="wB97M-V/def2-TZVPD" charge=0 lumo_ev="-0.03 / 0.20" smiles="C/C(I)=C/F" fmax_ev_per_a=6.205 orbital_gap_ev="8.6 / 8.4"
C 0.20068 1.55140 0.70429 0.02 -5.62 -2.63 0.248
C 0.35074 -0.24103 0.18239 -0.24 5.30 2.31 -0.187
C -0.56110 -0.82264 -0.81786 0.41 -1.76 1.16 -0.744
F 1.00779 1.81574 1.68994 0.39 0.49 0.52 -0.321
I 1.17131 -1.54340 1.66759 -0.48 0.84 -0.78 0.150
H 0.07791 2.36042 -0.06644 0.19 -0.89 0.70 0.160
H 0.01082 -1.53285 -1.38762 0.52 -0.70 -0.20 0.235
H -0.86109 -0.16480 -1.55795 -0.97 1.80 -1.08 0.231
H -1.39706 -1.42283 -0.41434 0.15 0.54 0.01 0.229



No. 4
9
Properties=species:S:1:pos:R:3:forces:R:3:nbo_charge:R:1 method="wB97M-V/def2-TZVPD" charge=0 lumo_ev=0.97 smiles=C#CCNF fmax_ev_per_a=6.127 orbital_gap_ev=10.6
C -1.41130 -0.23543 0.98256 0.18 -0.97 0.26 -0.191
C -0.30617 0.03281 0.61121 -1.61 1.71 0.81 -0.049
C 0.75679 0.75143 0.06644 1.36 -2.13 -5.58 -0.329
N 0.46918 1.03581 -1.61399 0.31 0.54 2.52 -0.218
F 0.76581 -0.23065 -2.25479 -1.32 1.19 0.66 -0.277
H -2.19119 -0.81815 1.35217 -1.01 -0.27 0.33 0.229
H 1.52200 -0.04340 -0.04856 0.38 0.97 -0.08 0.244
H 1.19157 1.66384 0.36785 -0.16 0.91 0.92 0.246
H -0.56242 1.36282 -1.75446 1.87 -1.95 0.17 0.345



No. 5
9
Properties=species:S:1:pos:R:3:forces:R:3:nbo_charge:R:1 method="wB97M-V/def2-TZVPD" charge=0 lumo_ev="0.08 / 0.08" fmax_ev_per_a=4.574 orbital_gap_ev="8.1 / 8.0"
+++
Immunizations: For school enrollment, a parent or guardian shall provide one of the following: 1) Current, up-to-date immunization records; or 2) A completed and signed exemption form. Appointment for missing immunizations will not be accepted; all series must be completed at the time of enrollment. Exemption forms are available from the Enrollment Center.
Oklahoma Vaccines for Children Information
Oklahoma health services/Immunizations
Transcript & Withdraw Grades (official or unofficial) from previous school for students in grades 9-12; Withdrawal grades or last report card from previous school for grades 5-8; Elementary report card for grades K-4 is recommended.
Other Information - Parents'/legal guardians' photo ID; Tribal Citizenship card or a CDIB Card (Certified Degree of Indian Blood,) Special Education (IEP).
Downloadable Forms:These forms are also available at the enrollment office. All other needed forms will be sent out after registration has been completed.
Free & Reduced Lunch Application (English)
Free & Reduced Lunch Application (Spanish)
PreK4 Parents: MUST READ
In order to help serve our community better Woodward Public Schools is now working in collaboration with the Big Five Head Start Program. We are requiring Prek4 parents to fill out the applications for Woodward Public Schools and the Big Five Application. If your child qualifies for services through Big Five you will be contacted by Big Five for additional information to begin services.
Head Start English Application
Head Start Spanish Application
-- Molecular data, kept here for reference --
'''
36
Properties=species:S:1:pos:R:3:forces:R:3 method="wB97M-V/def2-TZVPD" e_tot_ha=-765.1687 e_lumo_ev=3.23 de_lowest_ev=4.2746 homo_energy_ha=-0.2057 charge=-1
C -2.565071 0.139315 -0.509259 -4.18 0.24 3.32
N -1.385804 0.854942 -0.932508 0.75 -1.20 -0.11
C -0.095070 0.313407 -0.347076 0.71 0.78 0.35
C 0.370194 -0.931879 -1.140485 -1.40 -0.52 -0.83
C 0.199517 -2.242595 -0.283588 2.80 -0.82 -1.58
O 0.887965 -2.113646 0.940428 -2.46 -0.33 0.75
C 1.099723 1.390290 -0.226862 0.53 -0.30 -1.79
N 2.159426 1.163500 0.822729 0.38 -3.12 -3.17
H -2.801339 0.063799 0.619564 1.32 1.19 -0.63
H -3.583535 0.660955 -0.748011 2.02 -0.71 -0.56
H -2.780882 -0.931538 -0.518860 1.13 -0.28 -1.99
H -1.591281 1.825684 -0.752431 0.58 0.15 0.36
H 0.091891 -2.034215 1.793650 0.91 0.74 -1.47
H -0.161734 -0.971879 -2.172612 0.62 -0.17 1.76
H 1.425856 -0.910433 -1.406578 0.25 0.32 0.27
H 0.812638 -3.030725 -0.842699 -0.86 0.69 0.18
H -0.799118 -2.665343 -0.294907 -0.56 0.38 0.61
H 0.768440 2.468940 -0.104853 0.00 -1.24 -0.18
H 1.616041 1.291632 -1.270284 -0.72 0.46 2.48
H 2.397548 0.078804 0.853671 -0.47 2.63 -0.50
H 1.693718 1.164414 1.663202 -1.27 0.55 2.70
H 0.787042 -0.550073 2.665571 0.22 -0.44 0.43
H 1.659624 -1.663095 3.125346 0.17 -0.67 -0.07
O 1.691291 -0.726368 2.995256 0.87 1.54 0.53
H -1.365162 -0.108941 2.927973 -0.09 1.60 -0.04
H -0.877824 1.320152 2.704226 8.08 4.50 -2.11
O -1.591558 0.918812 2.896771 -8.05 -5.78 2.24
H -0.197899 -0.068017 0.676773 -0.65 0.35 -0.02
H -0.434686 -2.018947 3.433213 1.31 -3.08 4.50
O -0.711153 -1.487938 2.787676 -2.00 2.13 -4.71
H -1.209266 0.595044 -2.982413 0.21 0.32 -0.94
H -0.155129 1.103559 -3.886523 5.11 2.75 0.15
O -0.935823 0.702931 -3.939535 -5.40 -2.81 0.80
H 1.764810 2.816149 -2.536316 -1.06 2.20 2.51
H 1.778175 1.357643 -2.844300 0.12 0.08 -0.12
O 2.038444 2.225652 -3.165937 1.09 -2.14 -3.11

***

52
Properties=species:S:1:pos:R:3:forces:R:3 method="wB97M-V/def2-TZVPD" e_tot_ha=-1242.8174 e_lumo_ev=2.76 de_lowest_ev=2.3752 homo_energy_ha=-0.2254 charge=-1
C 0.879349 -1.677039 0.389862 -2.01 -1.42 -0.69
O 1.517189 -0.820344 -0.382659 2.11 2.63 -1.42
C -0.694877 -1.505626 0.108128 0.50 -3.40 1.13
C -1.395199 -2.328751 1.309981 -0.73 -0.07 -0.88
N -1.168660 -0.128363 0.078429 0.26 -0.73 -1.62
H 1.109170 -1.463991 1.452888 -0.15 -0.71 0.02
H 1.229432 -2.732371 -0.005325 -0.95 0.96 1.77
H -0.868246 -2.070234 -0.925165 0.01 1.48 2.25
H -1.393540 -1.861427 2.301691 0.06 0.30 -0.50
H -2.427144 -2.648111 1.137688 -0.40 0.96 -0.41
H -1.056292 -3.339387 1.512811 1.32 -0.12 -0.33
H -0.686273 0.448475 0.752616 -0.09 0.20 0.39
H -0.906006 0.284788 -0.836188 -0.20 -0.36 0.78
H -0.422649 -0.671819 3.175430 -0.05 -0.12 -1.24
H 0.503966 -0.230703 4.246535 2.12 0.68 0.34
O -0.364287 -0.531762 4.100357 -2.17 -0.56 1.04
H 3.811657 -1.187559 -1.862922 0.06 -1.04 1.30
H 2.937589 -1.544225 -0.688115 -1.29 0.78 0.78
O 3.768153 -1.795361 -1.072102 1.94 0.19 -2.32
H 1.502120 3.407314 2.483100 1.41 4.55 0.19
'''
Thank you for your assistance as we begin this journey with the Big Five.
2024-2025 School Year
Click link below
1st – 12th Grade Registration